Next, duplicate all of the rows underneath without additions.

La3MgOs: calculated powder diffraction line list (Cu Ka), based on a cell relaxed with GGA-PBE.
Peak positions follow from Bragg's law for the DFT cell and can differ from measured ones.

The 12 most intense peaks (2θ = 10–90°), most intense first:
| d [Å] | Rel. int. | hkl |
| --- | --- | --- |
| 3.217 | 100 | 1 1 1 |
| 5.161 | 94 | 0 1 -1 |
| 2.673 | 86 | 1 0 2 |
| 6.244 | 85 | 1 0 0 |
| 3.002 | 84 | -2 1 1 |
| 2.785 | 84 | 1 2 0 |
| 2.581 | 59 | 0 2 -2 |
| 2.326 | 53 | -1 2 2 |
| 2.134 | 33 | -1 1 3 |
| 2.107 | 31 | -1 3 1 |
| 2.030 | 27 | 3 0 -2 |
| 2.850 | 26 | 0 1 2 |

Structure:
Lattice parameters (Å, degrees): 6.546 6.925 7.009 95.96 104.42 98.09
Fractional positions:
La1 0.000 0.000 0.000
La2 0.011 0.545 0.419
La3 0.140 0.071 0.521
La4 0.489 0.760 0.193
La5 0.545 0.241 0.037
La6 0.579 0.649 0.673
Mg1 0.062 0.477 0.917
Mg2 0.658 0.181 0.551
Os1 0.274 0.832 0.814
Os2 0.321 0.361 0.297

La3MgOs: calculated powder diffraction line list (Cu Ka), based on a cell relaxed with GGA-PBE.
Peak positions follow from Bragg's law for the DFT cell and can differ from measured ones.

The 12 most intense peaks (2θ = 10–90°), most intense first:
| d [Å] | Rel. int. | hkl |
| --- | --- | --- |
| 3.217 | 100 | 1 1 1 |
| 5.161 | 94 | 0 1 -1 |
| 2.673 | 86 | 1 0 2 |
| 6.244 | 85 | 1 0 0 |
| 3.002 | 84 | -2 1 1 |
| 2.785 | 84 | 1 2 0 |
| 2.581 | 59 | 0 2 -2 |
| 2.326 | 53 | -1 2 2 |
| 2.134 | 33 | -1 1 3 |
| 2.107 | 31 | -1 3 1 |
| 2.030 | 27 | 3 0 -2 |
| 2.850 | 26 | 0 1 2 |

Structure:
Lattice parameters (Å, degrees): 6.546 6.925 7.009 95.96 104.42 98.09
Fractional positions:
La1 0.000 0.000 0.000
La2 0.011 0.545 0.419
La3 0.140 0.071 0.521
La4 0.489 0.760 0.193
La5 0.545 0.241 0.037
La6 0.579 0.649 0.673
Mg1 0.062 0.477 0.917
Mg2 0.658 0.181 0.551
Os1 0.274 0.832 0.814
Os2 0.321 0.361 0.297